Request.
Work out how many lines further below have the word "Fermi" in them; a number is enough.

Material.
Run 1
Computed, not measured: a relaxed structure of Sc3ZnHg at the PBE-GGA level of DFT.

density of states at the Fermi level	8.58	states/eV per cell
crystal system	cubic

Geometry as extended XYZ:
```
5
Lattice="-2.0562 -4.3684 1.4252 4.4990 -2.2314 -0.3486 0.9342 1.1313 4.8155" Properties=species:S:1:pos:R:3 pbc="T T T"
Sc 2.2495 -1.1157 -0.1743
Sc 0.4671 0.5657 2.4078
Sc -1.0281 -2.1842 0.7126
Zn 0.0000 0.0000 0.0000
Hg 1.6886 -2.7342 2.9460
```

Run 2
Computed, not measured: a relaxed structure of Sc3ZnHg at the PBE-GGA level of DFT.

density of states at the Fermi level	10.10	states/eV per cell
crystal system	orthorhombic

Geometry as extended XYZ:
```
10
Lattice="4.7127 0.0000 1.0770 0.0000 4.8345 0.0000 0.3169 0.0000 9.4628" Properties=species:S:1:pos:R:3 pbc="T T T"
Sc 3.6444 1.2086 1.9364
Sc 2.0868 1.2086 8.7520
Sc 2.8643 1.2086 5.3499
Sc 1.2855 3.6259 1.4090
Sc 4.4406 3.6259 9.3016
Sc 0.5081 3.6259 4.8111
Zn 3.2639 3.6259 3.6016
Zn 4.8212 1.2086 7.6364
Hg 2.4740 3.6259 7.0579
Hg 0.8984 1.2086 3.1031
```

Most stable to least stable, the ends of the list are run 2 and run 1.

Run 1
Computed, not measured: a relaxed structure of ZrSc2Hg2 at the PBE-GGA level of DFT.

density of states at the Fermi level	9.45	states/eV per cell
crystal system	tetragonal

Geometry as extended XYZ:
```
10
Lattice="-4.7842 1.3917 -6.3923 2.1858 -7.1241 -3.1869 -2.6062 -1.5237 1.6188" Properties=species:S:1:pos:R:3 pbc="T T T"
Sc 0.1797 -5.5766 -4.9598
Sc -2.6557 -3.4356 -7.5095
Sc -2.7781 -0.1559 -4.6194
Sc 0.0573 -2.2968 -2.0697
Hg -0.6038 -5.1922 -2.2351
Hg -2.5652 -5.9002 -6.0592
Hg -4.6008 -2.0639 -5.7254
Hg -2.6394 -1.3560 -1.9012
Zr 0.0000 0.0000 0.0000
Zr -1.2992 -2.8662 -4.7896
```

Run 2
Computed, not measured: a relaxed structure of ZrSc2Hg2 at the PBE-GGA level of DFT.

density of states at the Fermi level	8.98	states/eV per cell
crystal system	tetragonal

Geometry as extended XYZ:
```
10
Lattice="-2.9430 1.7835 -7.3224 -5.5780 -5.8016 0.8288 -2.1633 2.2836 1.4257" Properties=species:S:1:pos:R:3 pbc="T T T"
Sc -5.3124 -2.4388 0.0286
Sc -7.6853 -2.4847 -3.4987
Sc -5.3719 0.7043 -5.0965
Sc -2.9990 0.7502 -1.5692
Hg -5.9244 -4.3793 -1.9749
Hg -6.0799 -2.1189 -5.8317
Hg -2.5966 0.3612 -4.5186
Hg -2.4411 -1.8992 -0.6619
Zr 0.0000 0.0000 0.0000
Zr -4.2605 -2.0090 -3.2468
```

Most stable to least stable, the ends of the list are run 2 and run 1.

Run 1
Computed, not measured: a relaxed structure of HgSe5 at the PBE-GGA level of DFT.

density of states at the Fermi level	1.78	states/eV per cell
crystal system	monoclinic

Geometry as extended XYZ:
```
6
Lattice="1.8618 4.2201 0.7305 -1.8618 4.2201 0.7305 0.0000 4.4078 11.5091" Properties=species:S:1:pos:R:3 pbc="T T T"
Hg 0.0000 6.1291 10.9002
Se 0.0000 5.0499 7.3347
Se 0.0000 6.0585 4.0345
Se 0.0000 9.0095 10.1336
Se 0.0000 8.8556 6.3528
Se 0.0000 2.7696 1.8292
```

Run 2
Computed, not measured: a relaxed structure of HgSe5 at the PBE-GGA level of DFT.

density of states at the Fermi level	3.94	states/eV per cell
crystal system	hexagonal

Geometry as extended XYZ:
```
6
Lattice="3.3605 -5.8206 0.0000 3.3605 5.8206 0.0000 0.0000 0.0000 3.7367" Properties=species:S:1:pos:R:3 pbc="T T T"
Hg 0.0000 0.0000 1.8684
Se 2.0580 -3.5645 0.0000
Se 2.6052 0.0000 0.0000
Se 2.0580 3.5645 0.0000
Se 3.3605 -1.9402 1.8684
Se 3.3605 1.9402 1.8684
```

Run 3
Computed, not measured: a relaxed structure of HgSe5 at the PBE-GGA level of DFT.

density of states at the Fermi level	5.93	states/eV per cell
crystal system	cubic

Geometry as extended XYZ:
```
6
Lattice="0.7689 -4.5642 3.5466 -1.8709 0.2472 5.5172 -4.5807 -3.1978 1.6713" Properties=species:S:1:pos:R:3 pbc="T T T"
Hg 0.0000 0.0000 0.0000
Se -1.4207 -1.8787 2.6838
Se -3.4958 -4.6229 6.6039
Se -1.3856 -3.1497 5.8340
Se -3.8501 -2.5202 4.9701
Se -2.6339 -4.7368 4.0622
```

Run 4
Computed, not measured: a relaxed structure of HgSe5 at the PBE-GGA level of DFT.

density of states at the Fermi level	2.38	states/eV per cell
crystal system	orthorhombic

Outcome.
8